**Entries:**
********
! NdMgIrRh (PBE, optimized geometry); values from VASP
! Formation enthalpy at 0 K ... -1.8 eV per formula unit
! DFT total energy ... -6.0977 eV/atom
! Space group ... F-43m, No. 216
&SYSTEM
  ibrav = 0, nat = 4, ntyp = 4
/
ATOMIC_SPECIES
Nd 144.24 Nd.upf
Mg 24.30 Mg.upf
Ir 192.22 Ir.upf
Rh 102.91 Rh.upf
CELL_PARAMETERS angstrom
0.000 3.358 3.358
3.358 0.000 3.358
3.358 3.358 0.000
ATOMIC_POSITIONS angstrom
Nd 0.000 0.000 0.000
Mg 3.358 3.358 3.358
Ir 1.679 1.679 1.679
Rh 5.038 5.038 5.038

! La3HfSb (PBE, optimized geometry); values from VASP
! DFT total energy ... -5.3433 eV/atom
! Raw formation energy ... 428 meV/atom
! Space group ... Pm-3m, No. 221
&SYSTEM
  ibrav = 0, nat = 5, ntyp = 3
/
ATOMIC_SPECIES
La 138.91 La.upf
Hf 178.49 Hf.upf
Sb 121.76 Sb.upf
CELL_PARAMETERS angstrom
5.964 0.000 0.000
0.000 5.964 0.000
0.000 0.000 5.964
ATOMIC_POSITIONS angstrom
La 0.000 0.000 2.982
La 0.000 2.982 0.000
La 2.982 0.000 0.000
Hf 2.982 2.982 2.982
Sb 0.000 0.000 0.000

! NaMgHgTe2 (PBE, optimized geometry); values from VASP
! DFT total energy ... -2.4068 eV/atom
! Raw formation energy ... -507 meV/atom
! Space group ... Pccm, No. 49
&SYSTEM
  ibrav = 0, nat = 10, ntyp = 4
/
ATOMIC_SPECIES
Na 22.99 Na.upf
Mg 24.30 Mg.upf
Hg 200.59 Hg.upf
Te 127.60 Te.upf
CELL_PARAMETERS angstrom
5.767 0.000 0.000
0.000 7.507 0.000
0.000 0.000 7.346
ATOMIC_POSITIONS angstrom
Na 0.000 0.000 1.836
Na 0.000 0.000 5.509
Mg 2.884 3.753 1.836
Mg 2.884 3.753 5.509
Hg 2.884 0.000 0.000
Hg 2.884 0.000 3.673
Te 1.084 2.476 0.000
Te 1.084 5.031 3.673
Te 4.683 2.476 3.673
Te 4.683 5.031 0.000
********

**Exercise:**
Next, type out the whole of the rows earlier on without additions.

**Solution:**
! NdMgIrRh (PBE, optimized geometry); values from VASP
! Formation enthalpy at 0 K ... -1.8 eV per formula unit
! DFT total energy ... -6.0977 eV/atom
! Space group ... F-43m, No. 216
&SYSTEM
  ibrav = 0, nat = 4, ntyp = 4
/
ATOMIC_SPECIES
Nd 144.24 Nd.upf
Mg 24.30 Mg.upf
Ir 192.22 Ir.upf
Rh 102.91 Rh.upf
CELL_PARAMETERS angstrom
0.000 3.358 3.358
3.358 0.000 3.358
3.358 3.358 0.000
ATOMIC_POSITIONS angstrom
Nd 0.000 0.000 0.000
Mg 3.358 3.358 3.358
Ir 1.679 1.679 1.679
Rh 5.038 5.038 5.038

! La3HfSb (PBE, optimized geometry); values from VASP
! DFT total energy ... -5.3433 eV/atom
! Raw formation energy ... 428 meV/atom
! Space group ... Pm-3m, No. 221
&SYSTEM
  ibrav = 0, nat = 5, ntyp = 3
/
ATOMIC_SPECIES
La 138.91 La.upf
Hf 178.49 Hf.upf
Sb 121.76 Sb.upf
CELL_PARAMETERS angstrom
5.964 0.000 0.000
0.000 5.964 0.000
0.000 0.000 5.964
ATOMIC_POSITIONS angstrom
La 0.000 0.000 2.982
La 0.000 2.982 0.000
La 2.982 0.000 0.000
Hf 2.982 2.982 2.982
Sb 0.000 0.000 0.000

! NaMgHgTe2 (PBE, optimized geometry); values from VASP
! DFT total energy ... -2.4068 eV/atom
! Raw formation energy ... -507 meV/atom
! Space group ... Pccm, No. 49
&SYSTEM
  ibrav = 0, nat = 10, ntyp = 4
/
ATOMIC_SPECIES
Na 22.99 Na.upf
Mg 24.30 Mg.upf
Hg 200.59 Hg.upf
Te 127.60 Te.upf
CELL_PARAMETERS angstrom
5.767 0.000 0.000
0.000 7.507 0.000
0.000 0.000 7.346
ATOMIC_POSITIONS angstrom
Na 0.000 0.000 1.836
Na 0.000 0.000 5.509
Mg 2.884 3.753 1.836
Mg 2.884 3.753 5.509
Hg 2.884 0.000 0.000
Hg 2.884 0.000 3.673
Te 1.084 2.476 0.000
Te 1.084 5.031 3.673
Te 4.683 2.476 3.673
Te 4.683 5.031 0.000